# Application Programming Interfaces (APIs)*

# Acronyms, Abbreviations, and Initialisms

Short Form Full Form
API Application Programming Interface
REST Representation State Transfer
SOAP Simple Object Access Protocol

# Overview

-- begin --
CsP2H5O8 (GGA-PBE, optimized geometry); polymorph energy (0 for the lowest one) = 0.000 eV per atom; total energy after the MP2020 corrections = -6.322 eV per atom
1.0
11.2401 0.0000 0.0000
0.0000 7.8605 0.0000
-0.8290 0.0000 9.6042
Cs P H O
4 8 20 32
Cartesian
2.6181 1.3318 0.3726
2.2036 2.5984 5.1747
8.2075 5.2621 4.4295
7.7930 6.5287 9.2316
0.6834 5.3899 2.1416
0.2689 6.4008 6.9437
4.8139 5.4203 1.6677
4.3994 6.3704 6.4698
6.0118 1.4900 3.1344
5.5973 2.4402 7.9366
10.1422 1.4597 2.6605
9.7277 2.4706 7.4626
-0.0179 4.0432 7.9739
0.3966 7.7475 3.1718
0.7011 5.8328 4.8143
1.1156 5.9580 0.0122
2.8186 4.2825 1.8178
2.4041 7.5083 6.6199
4.1239 4.0913 7.8293
4.4225 5.6798 4.3458
4.0080 6.1109 9.1479
4.5384 7.6995 3.0272
5.8727 0.1610 6.5770
6.4031 1.7496 0.4563
5.9886 2.1807 5.2584
6.2872 3.7692 1.7749
8.0070 0.3522 2.9843
7.5925 3.5780 7.7864
9.2955 1.9025 9.5920
9.7100 2.0277 4.7899
10.0145 0.1130 6.4324
10.4291 3.8173 1.6303
0.3414 0.9225 3.0500
-0.0731 3.0077 7.8521
0.1604 5.4970 8.1756
0.5749 6.2937 3.3735
0.7433 5.4474 5.7715
1.1578 6.3433 0.9694
1.6177 4.1913 2.3205
1.2032 7.5994 7.1226
3.8553 4.2376 1.3949
3.4408 7.5532 6.1971
4.0838 5.5930 7.7423
4.4983 6.1978 2.9402
4.5556 0.8737 3.1064
4.1411 3.0566 7.9085
4.3737 5.3108 5.3109
4.7882 6.4799 0.5088
5.6229 1.3806 9.0954
6.0374 2.5497 4.2933
6.2700 4.8039 1.6957
5.8555 6.9868 6.4978
5.9128 1.6627 6.6641
6.3273 2.2675 1.8619
6.9703 0.3073 3.4072
6.5558 3.6229 8.2093
9.2079 0.2611 2.4816
8.7934 3.6692 7.2837
9.2533 1.5172 8.6348
9.6678 2.4131 3.8327
9.8362 1.5668 6.2307
10.2507 2.3634 1.4286
10.4842 4.8527 1.7521
10.0697 6.9380 6.5542


Ba2Ir3O9 (GGA-PBE, optimized geometry); total energy after the MP2020 corrections = -7.220 eV per atom
1.0
-4.7837 4.7837 4.7837
4.7837 -4.7837 4.7837
4.7837 4.7837 -4.7837
Ba Ir O
4 6 18
Cartesian
1.8169 1.8169 7.7504
6.6006 2.9667 -2.9667
-1.8169 1.8169 1.8169
2.9667 2.9667 2.9667
4.7837 0.0000 1.4938
4.7837 3.2898 0.0000
1.4938 4.7837 0.0000
3.2898 0.0000 4.7837
0.0000 1.4938 4.7837
0.0000 4.7837 3.2898
3.4334 0.0000 0.0000
6.1339 0.0000 0.0000
4.6342 1.9697 -1.4938
6.2774 -0.1495 2.8140
3.2899 0.1495 2.8140
1.9697 -1.4938 4.6342
0.0000 3.4334 0.0000
2.8140 3.2899 0.1495
0.0000 0.0000 3.4334
4.9331 1.9697 1.4938
0.1495 2.8140 3.2899
0.0000 6.1339 0.0000
2.8140 6.2774 -0.1495
0.0000 0.0000 6.1339
1.9697 1.4938 4.9331
-1.4938 4.6342 1.9697
1.4938 4.9331 1.9697
-0.1495 2.8140 6.2774


TcC4NO4 (GGA-PBE, optimized geometry); polymorph energy (0 for the lowest one) = 0.243 eV per atom; total energy after the MP2020 corrections = -7.378 eV per atom
1.0
9.9016 0.0000 0.0000
0.0000 10.8538 0.0000
0.0000 0.0000 6.5466
Tc C N O
4 16 4 16
Cartesian
2.2233 2.5198 0.3472
2.7275 7.9467 6.1994
7.1742 2.9071 6.1994
7.6783 8.3340 0.3472
0.4547 0.5170 2.0101
0.6011 0.6720 3.4463
0.6937 5.5226 4.4050
1.1140 6.1419 3.1542
3.8368 0.7150 3.3924
4.2571 0.0957 2.1416
4.3497 6.0989 3.1003
4.4962 5.9439 4.5365
5.4055 4.9099 4.5365
5.5519 4.7549 3.1003
5.6445 10.7581 2.1416
-- stop --

APIs allow secure communication from one web service to another. This is typically an interface that allows for proper communication to occur. They are the coding components that allow applications to speak to one another, generally through a web interface of some kind.

Regardless of what type of API you use to offer web services, you are granting another application access to the primary application and any data it may have access to.

# Types of APIs


REST is a software architecture style consisting of guidelines and best practices for creating scalable web services. It allows web applications to access other applications, databases, and so on in order to extend their functionality. REST is not a protocol. It is a class/category of APIs.

The server does not need to store any temporary information about clients, so sessions are not required. Credentials are used to allow authentication between clients and servers. Generally, a REST interaction involves the client asking the server for data, sometimes as the result of processing; the server processes the request and returns the result. In REST, an enduring session, where the server has to store some temporary data about the client, is not necessary.

REST performs web service requests using uniform resource identifiers (URIs).

Request verbs describe what you will do with a resource. The most common HTTP verbs are POST, GET, PUT, PATCH, and DELETE. Some would say these are properly called "methods." REST HTTP methods correspond to CRUD methods:

  • [C]reate (POST)
  • [R]ead (GET)
  • [U]pdate (PUT)
  • [D]elete (DELETE)

# Principles

REST is based on 5 principles:

  • RESTful client-server
  • Stateless (sessionless)
  • Cache
  • Layered System
  • Uniform Contract

# Characteristics

  • Lightweight (no envelopes required)
  • Caching (performant)
  • Scalable
  • Uses simple URLs
  • Not reliant on XML
  • Efficient (smaller messages than XML)
  • Reliant on HTTP/S (HTTP/S-only)
  • Supports multiple data formats (CSV, JSON, YAML, XML, etc.)
  • Widely used

# Uses

  • When bandwidth is limited
  • When stateless operations are used
  • When caching is needed

# Advantages

  • No expensive tools required to interact with the web service
  • Smaller learning curve
  • Efficient (SOAP uses XML for all messages, REST can use smaller message formats); REST uses what is called "postcards"
  • Fast (no extensive processing required)
  • Closer to other web technologies in design philosophy


SOAP is a protocol specification for exchanging structured information in the implementation of web services in computer networks.

SOAP allows programs to operate independently of the client operating system.

  • SOAP envelope and then HTTP, FTP, or SMTP
    • Since everything must be "put in an envelope and addressed properly" it adds overhead
  • Provides WS-* features
  • Should only be used when REST is not available

SOAP uses message-level encryption.

# Characteristics

  • Standards-based
  • Reliant on XML (XML-only)
  • Reliant on SAML (SAML-only)
  • Slower (no caching)
  • Highly intolerant of errors
  • Built-in error handling

# Uses

  • Asynchronous processing
  • Format contracts
  • Stateful operations

# Advantages

  • Language, platform, and transport independent
  • Works well in distributed enterprise environments
  • Standardized
  • Provides significant pre-build extensibility in the form of the WS* standards
  • Built-in error handling
  • Automation when used with certain language products

# API Security

  • In order to detect possible erroneous or malicious modification of the organization's data by unauthorized or security-deficient APIs, it's important to take representative samples of the production data on a continual basis and perform integrity checks.
  • Because untrusted APIs may not be secured sufficiently, increased vigilance for the possibility of introducing malware (such as by using antimalware detection capabilities) into the production environment is essential.